Many folks who embrace grounding are passionate gardeners, and understandably, being grounded while working a garden bed outside boosts your health instantly. But beyond the healing boost of being grounded, it’s actually healing just to be around plants of any kind, even while ungrounded (for example, just seeing a plant through a window or adding a potted plant to a workspace) gives us documented health benefits.
-- Next to the page, the page also holds records of crystals --
********
# 1
Crystalline La2ZnNi2 at its relaxed geometry, computed with PBEsol.

Structure (extended XYZ):
```
5
Lattice="-2.640 2.564 2.259 -3.183 -2.698 3.470 1.075 0.057 5.319" Properties=species:S:1:pos:R:3 pbc="T T T"
Ni -1.327 0.639 5.979
Zn 0.000 0.000 0.000
La -1.159 -0.293 3.106
Ni -3.421 -0.715 5.069
La -3.589 0.217 7.942
```

Output
Spin magnetization, μB/cell: 0.000
N(E_F), states/eV/cell: 3.93
Symmetry: Immm
E_form, kJ/mol of formula units: -165
Final energy, eV per atom: -5.259

# 2
Crystalline La3ZnNi at its relaxed geometry, computed with PBEsol.

Structure (extended XYZ):
```
5
Lattice="-4.104 0.086 -3.685 -3.134 -2.986 3.420 -1.941 4.638 2.270" Properties=species:S:1:pos:R:3 pbc="T T T"
La -2.052 0.043 -1.843
Zn 0.000 0.000 0.000
La -0.971 2.319 1.135
La -1.567 -1.493 1.710
Ni -4.589 0.869 1.002
```

Output
Spin magnetization, μB/cell: 0.001
N(E_F), states/eV/cell: 11.02
Symmetry: Pm-3m
E_form, kJ/mol of formula units: 346
Final energy, eV per atom: -4.039

# 3
Crystalline LaZnNi2 at its relaxed geometry, computed with PBEsol.

Structure (extended XYZ):
```
4
Lattice="-2.707 0.712 -1.465 -0.160 -2.943 -1.137 -3.260 -1.810 5.145" Properties=species:S:1:pos:R:3 pbc="T T T"
La -1.433 -1.116 -1.301
Ni -1.014 -0.563 1.600
Zn -3.063 -2.021 1.272
Ni -2.246 -1.247 3.545
```

Output
Spin magnetization, μB/cell: 0.000
N(E_F), states/eV/cell: 2.39
Symmetry: P4/mmm
E_form, kJ/mol of formula units: -50
Final energy, eV per atom: -4.940

# 4
Crystalline LaZn2Ni3 at its relaxed geometry, computed with PBEsol.

Structure (extended XYZ):
```
6
Lattice="-0.841 -3.659 -0.842 3.759 -1.597 3.184 -4.804 0.688 1.806" Properties=species:S:1:pos:R:3 pbc="T T T"
Ni -0.943 -2.284 2.074
La 0.000 0.000 0.000
Zn 0.904 -0.835 2.724
Ni -2.822 -1.485 0.482
Ni 1.459 -2.628 1.171
Zn -1.950 -0.074 2.265
```

Output
Spin magnetization, μB/cell: 0.000
N(E_F), states/eV/cell: 2.79
Symmetry: P6/mmm
E_form, kJ/mol of formula units: -204
Final energy, eV per atom: -4.849

----------

Density functional theory data (PBE) for an optimized crystal structure of BeAl2Cd.

Summary:
The calculation puts the density of states at the Fermi level at 1.35 states/eV/cell. As for the uncorrected energy: -2.7064 eV/atom. The density is 4.1 Mg/m³.

a b c (Å): 4.066 3.639 5.159
angles (deg): 67.40 90.00 90.00
Element x y z (fractional)
Be: 0.500 0.250 0.250
Al: 0.000 0.126 0.034
Al: 0.000 0.374 0.466
Cd: 0.500 0.750 0.750

=====

Density functional theory data (PBE) for an optimized crystal structure of Sc2PRh.

Summary:
The calculation puts the density of states at the Fermi level at 7.51 states/eV/cell. As for the uncorrected energy: -6.9684 eV/atom. The density is 4.9 Mg/m³.

a b c (Å): 6.976 6.976 5.822
angles (deg): 53.19 53.19 90.00
Element x y z (fractional)
Sc: 0.625 0.125 0.250
Sc: 0.125 0.625 0.250
Sc: 0.375 0.375 0.750
Sc: 0.875 0.875 0.750
P: 0.500 0.500 0.000
P: 0.250 0.750 0.500
Rh: 0.000 0.000 0.000
Rh: 0.750 0.250 0.500

=====
********
Read through this list of the top 9 perks of gardening and see if it doesn’t inspire even those of us who are non-gardeners to dive into this wonderful activity. From a windowsill garden to a flower bed to a large plot of farmland, gardening is more than a way to grow flowers and food… it’s a lifestyle that can help ensure longevity and health.
Read on to discover some surprising ways that gardening is doing more for your health than you ever thought possible:
1. Gives You A Healthier Brain
Every minute you spend out in your garden is brain protective… so much so, that having gardening as a hobby actually lowers your risk of dementia! A study published in 2006 in the Medical Journal of Australia found that daily gardening decreased dementia risk by in incredible 36%. A follow up study, published in 2019 in The International Journal of Environmental Research and Public Health, found that gardening actually increased levels of brain nerve growth factors.
Another incredibly interesting study, recently published in January 2020 in The International Journal of Environmental Research and Public Health, found that a gardening intervention program significantly boosted levels of the brain neurotransmitters tryptophan and serotonin, which are necessary for healthy sleep patterns and mood stabilization.
2. Gives You Boosted Mental Health
Multiple studies have found that having access to a garden or other green space decreases depression rates, anxiety rates, and dramatically reduces stress. One study, called the MIND study (conducted in 2007) found that simply walking through a garden or greenway significantly improved mental health, while walking through areas without greenery (such as a shopping mall) significantly decreased mental health.
(Crystal structures, as found in the file)
____________
# Fe2CoH2 GGA-PBE relaxed
data_Fe2CoH2
_chemical_formula_sum 'Fe4 Co2 H4'
_cell_length_a 5.4390
_cell_length_b 5.4390
_cell_length_c 2.6499
_cell_angle_alpha 90.00
_cell_angle_beta 90.00
_cell_angle_gamma 90.00
_space_group_name_H-M_alt 'P 1'
_space_group_IT_number 1
loop_
_space_group_symop_operation_xyz
'x,y,z'
loop_
_atom_site_label
_atom_site_type_symbol
_atom_site_fract_x
_atom_site_fract_y
_atom_site_fract_z
Fe1 Fe 0.1581 0.3419 0.0000
Fe2 Fe 0.3419 0.8419 0.0000
Fe3 Fe 0.6581 0.1581 0.0000
Fe4 Fe 0.8419 0.6581 0.0000
Co1 Co 0.0000 0.0000 0.5000
Co2 Co 0.5000 0.5000 0.5000
H1 H 0.1772 0.6772 0.5000
H2 H 0.3228 0.1772 0.5000
H3 H 0.6772 0.8228 0.5000
H4 H 0.8228 0.3228 0.5000
# Relative energy among the computed polymorphs (eV per formula unit): 0.94
# DFT total energy (eV per formula unit): -29.8

* * * * *

1.
Cd2AgIr: optimized geometry, PBE.

The structure in CIF format:
```
data_Cd2AgIr
_cell_length_a 3.098
_cell_length_b 4.885
_cell_length_c 9.550
_cell_angle_alpha 90.00
_cell_angle_beta 90.00
_cell_angle_gamma 90.00
_symmetry_space_group_name_H-M 'P 1'
_symmetry_Int_Tables_number 1
loop_
_symmetry_equiv_pos_as_xyz
'x,y,z'
loop_
_atom_site_label
_atom_site_type_symbol
_atom_site_fract_x
_atom_site_fract_y
_atom_site_fract_z
Cd1 Cd 0.000 0.000 0.242
Cd2 Cd 0.000 0.000 0.758
Cd3 Cd 0.500 0.500 0.242
Cd4 Cd 0.500 0.500 0.758
Ag1 Ag 0.000 0.500 0.500
Ag2 Ag 0.500 0.000 0.500
Ir1 Ir 0.000 0.500 0.000
Ir2 Ir 0.500 0.000 0.000
```

Output
calculated formation energy	162	meV per atom
total magnetization	0.00	μB per cell
E_tot	-25.79	eV for the cell shown
D(E_F)	2.1	states/eV/f.u.

2.
ZrBeTl3: optimized geometry, PBE.

The structure in CIF format:
```
data_ZrBeTl3
_cell_length_a 4.919
_cell_length_b 4.919
_cell_length_c 4.919
_cell_angle_alpha 90.00
_cell_angle_beta 90.00
_cell_angle_gamma 90.00
_symmetry_space_group_name_H-M 'P 1'
_symmetry_Int_Tables_number 1
loop_
_symmetry_equiv_pos_as_xyz
'x,y,z'
loop_
_atom_site_label
_atom_site_type_symbol
_atom_site_fract_x
_atom_site_fract_y
_atom_site_fract_z
Zr1 Zr 0.000 0.000 0.000
Be1 Be 0.500 0.500 0.500
Tl1 Tl 0.000 0.500 0.500
Tl2 Tl 0.500 0.000 0.500
Tl3 Tl 0.500 0.500 0.000
```

Output
calculated formation energy	616	meV per atom
total magnetization	0.00	μB per cell
E_tot	-16.29	eV for the cell shown
distance to the lowest polymorph of the same formula	0.000	eV/atom
D(E_F)	3.3	states/eV/f.u.

* * * * *

DFT (PBE) results for a relaxed TeMoRh2 crystal.

Results
Formation energy (no corrections)   40 kJ/mol of formula units
Crystal system   tetragonal

```
data_TeMoRh2
_space_group_name_H-M_alt 'I 4/m m m'
_space_group_IT_number 139
_space_group_name_Hall '-I 4 2'
_cell_length_a 3.990
_cell_length_b 3.990
_cell_length_c 8.118
_cell_angle_alpha 90.00
_cell_angle_beta 90.00
_cell_angle_gamma 90.00
loop_
_atom_site_label
_atom_site_type_symbol
_atom_site_fract_x
_atom_site_fract_y
_atom_site_fract_z
_atom_site_occupancy
Te1 Te 0.000 0.000 0.000 1
Mo1 Mo 0.000 0.000 0.500 1
____________
If simply walking through a green space impacts mental health so much, you can probably guess that hand’s on gardening would boost mental health even more. And you would be right. After an extensive systemic review of 22 studies looking at the health impact of gardening, the results of this meta-anylsis (published in Preventive Medicine Reports in 2016) found that gardening significantly reduced anxiety levels, anger levels and depression rates, decreased tension, stress levels and boosted mood… all while simultaneously improving life satisfaction and boosting over all quality of life. It’s absolutely incredible that simply tending to a garden can offer such a transformative life make-over, but it’s true!
3. Lowers Your Blood Pressure
Even indoor gardens can positively impact on your well being, so don’t discount the power of a windowsill garden or a simple house plant to support your health. An exciting study published in 2015 in the Journal of Physiological Anthropology, showed that simply adding plants to an indoor computer room not only boosted the worker’s productivity, it also significantly decreased their blood pressure.
Another study, published in 2007 in the American Society for Horticultural Science found that workers with potted plants in close proximity to them while working took less sick leave off from work and enjoyed increase productivity.
4. Helps You Recover Your Health Faster
Being physically near plants is so impactful to our mental and physical health that it turns out, even just seeing a plant can significantly impact our recovery from stressful health events. We have such an innate need to be submersed in a world with foliage and plants around us that a study (published in 1984 in Science) found that patients who simply had a view of plants through a window while recovering from surgery had better moods, used less pain medications, had less surgical post-op complications, and even decreased their length of stay in the hospital.
Less pain during recovery and getting to go home sooner after surgery just by looking at plants? That’s an awesome health strategy that I wish more hospital and clinics would take into account when designing their architecture.
4. Decreases Your Body’s Inflammation
One of my biggest passions as a holistic physician is encouraging people to touch the earth to decrease inflammation in their body, a healing practice known as grounding. A study on grounding, published in the Journal Of Alternative and Complimentary Medicine in 2010, found that subjects who were grounded while exercising had 40% lower levels of creatinine kinase (a marker of muscle inflammation) and less soreness after exertion than non-grounded subjects. They also had lower pain levels, significantly lower blood cortisol levels, and even lower white blood cell counts.
When you are grounded to the earth, as you are during gardening while touching the ground in any way, including touching any plants, soil, dirt, rocks and water that is on the earth, you are supporting your health in so many ways. For more information on the whole body benefits of grounding, see any of these articles I’ve got waiting for you on my Grounding Medical Studies page here or read my book The Earth Prescription right here.
5. Reduces Your Toxic Burden
One of the very best things about gardening is that you can have a direct impact in reducing your body’s total toxic burden. By growing your own garden, you can reduce your environmental exposures to pesticides and insecticides by choosing non-toxic, organic gardening practices and choosing not to apply toxic chemicals to your garden space, as well as reducing the amount of pesticides that you directly consume when you eat edibles from your garden that haven’t been treated with chemicals.
With over 5.6 billion pounds of pesticides used globally each year, it’s estimated that the average person eating store bought foods, including store bought produce, eats over a pound of chemicals every year. The good news is that it only takes a few days of eating your own garden fresh produce to dramatically reduce the concentration of measurable pesticides in your body. One study, published in Environmental Research in 2019, found that eating organic produce for just one week significantly reduced urine pesticide concentrations in study participants by 70%. One week!
6. Increases Your Nutritional Intake
Next to the page, the page also holds calculated crystals =
┌──
HfTe2IN | meta-GGA SCAN | PBEsol geometry

For the magnetic moment, the calculation gives 0.003 μB per atom. For the density of states at the Fermi level, the calculation gives 0.60 states/eV/atom. The value obtained for the total energy is -35.316 eV per atom.

Cell and atoms, written as POSCAR:
```
HfTe2IN
1.0
-1.221 1.239 -3.448
3.218 -3.984 -2.571
-4.382 -3.686 0.227
I Te Hf N
1 2 1 1
Cartesian
0.000 0.000 0.000
-2.191 -1.843 0.114
1.609 -1.992 -1.286
-1.192 -3.216 -2.896
-0.610 0.619 -1.724
```

HfTiI2N | meta-GGA SCAN | PBEsol geometry

For the magnetic moment, the calculation gives 0.597 μB per atom. For the density of states at the Fermi level, the calculation gives 0.64 states/eV/atom. The value obtained for the total energy is -32.273 eV per atom.

Cell and atoms, written as POSCAR:
```
HfTiI2N
1.0
3.919 0.000 0.000
0.000 5.720 0.000
0.000 0.000 5.720
I N Hf Ti
2 1 1 1
Cartesian
0.000 0.000 2.860
0.000 2.860 0.000
1.960 0.000 0.000
0.000 0.000 0.000
1.960 2.860 2.860
```

HfTlIN2 | meta-GGA SCAN | PBEsol geometry

For the magnetic moment, the calculation gives 0.012 μB per atom. For the density of states at the Fermi level, the calculation gives 0.53 states/eV/atom. The value obtained for the total energy is -36.115 eV per atom.

Cell and atoms, written as POSCAR:
```
HfTlIN2
1.0
4.265 0.000 0.000
0.000 4.265 0.000
0.000 0.000 5.661
I Tl Hf N
1 1 1 2
Cartesian
0.000 0.000 2.831
0.000 0.000 0.000
2.133 2.133 2.831
0.000 2.133 0.000
2.133 0.000 0.000
```
└──
Not only will eating your home grown produce reduce your toxic burden from things you don’t want — like exposures to unwanted chemicals — it can also dramatically boost the things you do want to go into your body… like active antioxidants and powerful vitamins. Even organic produce sold in a grocery store can lose half of it’s vitamins and phytonutrients by the time you get it home and eat it, especially water soluble vitamins like Vitamin C, Vitamin B6 & B12, thiamin, riboflavin and niacin.
Just by eating your food fresh picked, garden-to-table, you reduce the loss of nutrients that inevitably happens when shipped, stored and displayed at super markets. Fruits and vegetables are extremely sensitive to and heat and light exposures, rapidly degrading over time. A study published in the Journal of the Science of Food and Agriculture in 2007 found that most produce loses about 30% of their nutritional content three days after picking. Some dramatically more, for example, spinach can lose up to 90% of it’s vitamin C activity within 24 hours of harvest. While freezing produce might help slow nutrient degradation, the ultimate solution to having vibrantly nutritious, fresh foods to eat is to grow them yourself and consume them that day, if not the very minute you pick it!
7. Gives You Better Sleep
There is a beautiful relationship between our sleep cycle and mother earth. Most people believe that our circadian (day/night) rhythm is dependent on sunlight to set that pattern for us, but scientists feel that the earth’s energy field has as much, if not more, to do with our sleep/wake pattern than even the sun, and they have known this since a pioneering study conducted back in 1970. Published in Life Sciences in Space Research, researchers discovered just how influential the earth is to our sleep patterns.
Looking at several hundred test subjects that lived for a two month period of time in a bunker that was blocked from sunlight but still had the earth’s electromagnetic field surrounding them, scientist discovered that they kept sleep/wake patterns that were close to a 24 hour rhythm. Meanwhile, test subject that lived in a bunker that was completely shielded from the earth’s energies became completely desynchronized and experienced significantly longer, and much more irregular, sleep/wake rhythms. Researchers then experimented with introducing different electrical and magnetic fields into the shielded bunker, and only one frequency was able to restore normal sleep/wake patterns… the frequency of Mother Earth’s natural energy, the Schumann frequency.
From this the researchers postulated that it is actually the frequency of the earth that regulates our natural biorhythms. Based off of this understanding, it’s easy to understand how directly connecting to the earth through gardening daily can help enhance restorative sleep at night and boost daytime wakefulness.
8. Boosts Your Vit D Levels
By now we’ve all heard of the importance of getting adequate Vitamin D… vitamin D protects so many different aspects of our health, from decreasing diabetes risk to boosting weight loss benefits to decreasing depression risk to preventing depression to predicting better cancer recovery to boosting fertility!
But does gardening actually increase Vitamin D levels? Yes, says a study published in PLOS One in 2014. Researchers studied thousands of blood samples from patients who engaged in a variety of activities, and found that gardening and cycling were the only two activities that significantly decreased the risk of vitamin D deficiency… superior all other outdoor activities, including fishing and walking. Gardening boosted Vitamin D levels across all age groups, so it’s a fantastic pastime that you never need to outgrow, a hobby to get into for life!
9. Increases Your Longevity
A study published in the Journal of Internal Medicine in 2016 found that people who stayed indoors and avoided sun exposure actually had a shorter life span than those who spent time outside. Participants who avoided the sun had higher rates of cardiovascular disease, diabetes, multiple sclerosis, and pulmonary disease than those who had daily sun exposure. And the results were dose-specific… meaning that the benefits of increased life expectancy went up directly in correlation to the amount of sun exposure. Longer time in the sun = longer life span. That simple! Gardening is a fantastic way to routinely be inspired to go outside and get that sunshine and fresh air, two of natures best holistic health treatments.
Another reason that being a gardener might lengthen lifespan, besides getting more sunlight, is the increase in activity level. A fabulous study (published in 2019 in the American Journal of Preventive Medicine) found that replacing just 30 minutes of sitting each day with light physical activity was enough to significantly decrease mortality rates. And again, here’s the clincher: the health benefit of replacing sedentary time with light physical activity was actually even stronger if you were older than 75 years old. So light activity decreased mortality rates in adults older than 75 years old even more than it decreased mortality rates in younger age groups. In other words, the older you are, the more that activity of any kind increases your lifespan.
It’s never too late to lengthen your lifespan and boost your health through daily activity — and that includes gardening. When you combine the fact that gardening has been proven to have huge mental health benefits, longevity benefits, grounding benefits, nutritional benefits and more, you would be hard pressed to find another activity that supports your health from so many different angles and in so many ways.
So what are you planting in your garden this year?
No matter how big or small your space is, whether you have a windowsill garden, a potted houseplant or two, a few medicinal herbs grown on your porch, access to a community vegetable garden or pick-your-own orchard or berry farm, or are even blessed enough to have your own land, tending to plants and growing flowers or food is one of the most rewarding, most pleasurable activities that I can recommend.
To your health! xoxox, Laura